



I am working on a application written in C# with Sql Server 2000 database. We have several PDF reports which clients use for their business needs. The problem is these reports take a while to generate (> 3 minutes). What usually ends up happening is when the user requests the report the request timeout kills the request before the web server has time to finish generating the report, so the user never gets a chance to download the file. Then the user will refresh the page and try again, which starts the entire report generation process over and still ends up timing out. (No we aren't caching reports right now; that is something I am pushing hard for...).

How do you handle these scenarios? I have an idea in my head which involves making an aysnchronous request to start the report generating and then have some javascript to periodically check the status. Once the status indicates the report is finished then make a separate request for the actual file.

Is there a simpler way that I am not seeing?

+1  A: 

What about emailing the report to the user. All the asp page should do is send the request to generate the report and return a message that the report will be emailed after is has finished running.

That was my first thought, but users of our system are not required to have email addresses. Otherwise, good suggestion.
Steven Williams
+3  A: 

I would consider making this report somehow a little bit more offline from the processing point of view.

Like creating a queue to put report requests into, process the reports from there and after finish, it can send a message to the user.

Maybe I would even create a separate Windows Service for the queue handling.

Update: sending to the user can be email or they can have a 'reports' page, where they can check their reports' status and download them if they are ready.

........
(1)
# Ho4FeS7 (PBE-GGA, optimized geometry)
data_Ho4FeS7
_chemical_formula_sum 'Ho4 Fe1 S7'
_cell_length_a 6.461
_cell_length_b 6.461
_cell_length_c 11.382
_cell_angle_alpha 76.06
_cell_angle_beta 76.06
_cell_angle_gamma 33.90
_symmetry_space_group_name_H-M 'P 1'
_symmetry_Int_Tables_number 1
loop_
_symmetry_equiv_pos_as_xyz
'x,y,z'
loop_
_atom_site_label
_atom_site_fract_x
_atom_site_fract_y
_atom_site_fract_z
Ho1 0.694 0.694 0.208
Ho2 0.306 0.306 0.800
Ho3 0.999 0.999 0.007
Ho4 0.112 0.112 0.564
Fe1 0.888 0.888 0.424
S1 0.745 0.745 0.637
S2 0.271 0.271 0.353
S3 0.337 0.337 0.052
S4 0.660 0.660 0.948
S5 0.031 0.031 0.228
S6 0.965 0.965 0.784
S7 0.490 0.490 0.494
# Magnetization (μB per cell): 4.0

(2)
# Ho4FeSe7 (PBE-GGA, optimized geometry)
data_Ho4FeSe7
_chemical_formula_sum 'Ho4 Fe1 Se7'
_cell_length_a 6.619
_cell_length_b 6.619
_cell_length_c 11.764
_cell_angle_alpha 76.49
_cell_angle_beta 76.49
_cell_angle_gamma 34.39
_symmetry_space_group_name_H-M 'P 1'
_symmetry_Int_Tables_number 1
loop_
_symmetry_equiv_pos_as_xyz
'x,y,z'
loop_
_atom_site_label
_atom_site_fract_x
_atom_site_fract_y
_atom_site_fract_z
Ho1 0.696 0.696 0.213
Ho2 0.306 0.306 0.797
Ho3 0.999 0.999 0.011
Ho4 0.107 0.107 0.557
Fe1 0.888 0.888 0.428
Se1 0.751 0.751 0.625
Se2 0.282 0.282 0.360
Se3 0.334 0.334 0.054
Se4 0.661 0.661 0.947
Se5 0.027 0.027 0.238
Se6 0.968 0.968 0.783
Se7 0.480 0.480 0.486
# Magnetization (μB per cell): 4.0

(3)
HoFe2Si2 after structural relaxation, computed with PBE-GGA.

CIF file:
```
data_HoFe2Si2
_chemical_formula_sum 'Ho1 Fe2 Si2'
_cell_length_a 3.954
_cell_length_b 3.954
_cell_length_c 5.508
_cell_angle_alpha 111.03
_cell_angle_beta 111.03
_cell_angle_gamma 90.00
_symmetry_space_group_name_H-M 'P 1'
_symmetry_Int_Tables_number 1
loop_
_symmetry_equiv_pos_as_xyz
'x,y,z'
loop_
_atom_site_label
_atom_site_fract_x
_atom_site_fract_y
_atom_site_fract_z
Ho1 0.000 0.000 0.000
Fe1 0.750 0.250 0.500
Fe2 0.250 0.750 0.500
Si1 0.634 0.634 0.268
Si2 0.366 0.366 0.732
```

(4)
# Ho4Fe5Si3 (PBE-GGA, optimized geometry)
data_Ho4Fe5Si3
_chemical_formula_sum 'Ho4 Fe5 Si3'
_cell_length_a 4.029
_cell_length_b 4.029
_cell_length_c 13.041
_cell_angle_alpha 90.00
_cell_angle_beta 90.00
_cell_angle_gamma 90.00
_symmetry_space_group_name_H-M 'P 1'
_symmetry_Int_Tables_number 1
loop_
_symmetry_equiv_pos_as_xyz
'x,y,z'
loop_
_atom_site_label
_atom_site_fract_x
_atom_site_fract_y
_atom_site_fract_z
Ho1 0.500 0.500 0.160
Ho2 0.500 0.500 0.659
Ho3 0.000 0.000 0.338
Ho4 0.000 0.000 0.844
Fe1 0.500 0.000 0.001
Fe2 0.500 0.000 0.500
Fe3 0.000 0.500 0.001
Fe4 0.000 0.500 0.500
Fe5 0.500 0.500 0.405
Si1 0.500 0.500 0.910
Si2 0.000 0.000 0.089
Si3 0.000 0.000 0.593
# Magnetization (μB per cell): 4.4

(5)
# Ho3Fe2Si3 (PBE-GGA, optimized geometry)
data_Ho3Fe2Si3
_chemical_formula_sum 'Ho6 Fe4 Si6'
_cell_length_a 5.630
_cell_length_b 5.630
_cell_length_c 13.562
_cell_angle_alpha 90.00
_cell_angle_beta 90.00
_cell_angle_gamma 137.64
_symmetry_space_group_name_H-M 'P 1'
........

+2  A: 

Your users may not accept this approach, but:

When they request a report (by clicking a button or a link or whatever), you could start the report generation process on a separate thread, and re-direct the user to a page that says "thank you, your report will be emailed to you in a few minutes".

When the thread is done generating the report, you could email the PDF directly (probably won't work because of size), or save the report on the server and email a link to the user.

Alternatively, you could go into IIS and raise the timeout to > 3 minutes.

+4  A: 

Using the filesystem here is probably a good bet. Have a request that immediately returns a url to the report pdf location. Your server can then either kick off an external process or send a request to itself to perform the reporting. The client can poll the server (using http HEAD) for the PDF at the supplied url. If you make the filename of the PDF derive from the report parameters, either by using a hash or directly putting the parameters into the name you will get instant server side caching too.

Can you elaborate on how the client can poll the server using http HEAD. I like the polling idea, however I was planning on using JavaScript for the polling. Is there an easier method?
Steven Williams
You can send head requests from javascript,'s probably something rolled up in jquery/other big js libraries to help.
+2  A: 

Here is some of the things I would do if I would be presented this problem:

1- Stop those timeout! They are a total waste of resources. (bring up the timeout value of asp pages)

2- Centralize all the db access in one single point, then gather stats about what reports ran when by whom and how much time it took. Investigate why it takes so long, is it because of report complexity? data range? server load? (you could actually all write that on a .csv file on the server and import this file periodically in the sql server to analyze later).

Eventually, it's going to be easier for you to "cache" reports if you go through this single access point (example, same query same date will return same PDF previously generated)

Unrelated to this text: data records
'''
Here is an optimized crystal structure of SrTa2Bi2O9 from Materials Project. Energies are from GGA-PBE.

Lattice parameters (Å, degrees): 15.186 15.186 5.701 90.00 90.00 158.76
Sites, in units of the cell vectors:
O: 0.567 0.433 0.269
O: 0.662 0.928 0.019
O: 0.767 0.219 0.736
O: 0.338 0.072 0.519
O: 0.433 0.567 0.269
O: 0.433 0.567 0.769
O: 0.928 0.662 0.019
O: 0.781 0.233 0.236
Ta: 0.821 0.682 0.022
Bi: 0.949 0.543 0.994
Bi: 0.457 0.051 0.494
O: 0.940 0.059 0.270
Bi: 0.051 0.457 0.494
O: 0.219 0.767 0.736
Ta: 0.179 0.318 0.522
O: 0.275 0.275 0.519
O: 0.233 0.781 0.236
O: 0.567 0.433 0.769
O: 0.059 0.940 0.270
Ta: 0.682 0.821 0.022
O: 0.941 0.060 0.770
O: 0.072 0.338 0.519
O: 0.060 0.941 0.770
Bi: 0.543 0.949 0.994
Sr: 0.253 0.253 0.022
Ta: 0.318 0.179 0.522
Sr: 0.747 0.747 0.522
O: 0.725 0.725 0.019

Computed properties:
- Magnetization: 0.03 μB per formula unit
- Formation enthalpy at 0 K: -2.76 eV per atom


{"formula": "LiVO2", "functional": "PBE+U", "state": "optimized geometry", "rho_g_cm3": 4.006, "vol_a3_per_atom": 9.315, "formation_energy_ev_per_fu": -9.88, "energy_ev_per_atom": -6.92, "spacegroup": "Cm, No. 8", "magnetic_moment_mub_per_fu": 0.000, "lattice": [[4.938, -2.035, 0.000], [4.938, 2.035, 0.000], [-1.674, 0.000, 3.707]], "species": ["Li", "Li", "V", "V", "O", "O", "O", "O"], "fractional_positions": [[0.000, 0.000, 0.000], [0.248, 0.248, 0.751], [0.500, 0.500, 0.500], [0.750, 0.750, 0.252], [0.264, 0.264, 0.266], [0.514, 0.514, 0.015], [0.735, 0.735, 0.738], [0.986, 0.986, 0.486]]}
'''
So much for the data records

3- I know this really wasn't the question but have you tried diving into those queries to see why they are so long to run? Query tuning maybe?

4- Email/SMS/on screen message when report is ready seems great... if your user generally send a batch of report to be generated maybe a little dashboard indicating progression of "their" queue could be built in the app. A little ajax control would periodically refresh the status.. Hint: If you used that central db access and you have sufficient information about what runs when why and how-long you will eventually be able to roughly estimates the time it will take for a report to run.

If the response time is mission critical, should certain users be limited in the data range (date range for example) during some hours of the day?

Good luck and please post more details about your scenario if you want to get more accurate hints...

+1  A: 

Query tuning is probably your best place to start. Though I don't know you are generating the report, that step shouldn't really take all that long. A poorly performing query on the other hand could absolutely kill your performance.

Depending on what you find in looking at the query, you may need to add some indexes, or possibly even set up a table to store the information for your report in a denormalized way, to make it available faster. This denormalized table could then be refreshed (through a SQL Server Job) every hour, or with whatever frequency your requirements dictate (within reason).

If its' a relatively static report, without varying user input parameters, then caching the report run earlier in the day would be a good idea as well, but its' hard to say any more about this without knowing your situation.

For a problem like this you really need to start at the database unless you have reason to suspect your report generating code of being the culprit. There are various band-aids you could use that might help for a while, but if your db is the root cause then those solutions will not scale well, and you'll likely run into similar problems (or worse) some time in the future.
